~~~
1.
This record from the Alexandria database describes a geometry-optimized BaSrFe4 structure. The functional is GGA-PBE.

Properties
Final energy, eV per atom: -5.66
Total magnetization, μB/f.u.: 9.6

Cell lengths 5.548, 5.548, 5.548 Å; angles 60.00, 60.00, 60.00 degrees
Sites, in units of the cell vectors:
Ba 0.000 0.000 0.000
Sr 0.750 0.750 0.750
Fe 0.837 0.388 0.388
Fe 0.388 0.388 0.837
Fe 0.388 0.837 0.388
Fe 0.388 0.388 0.388



2.
This record from the Alexandria database describes a geometry-optimized Hf2NbN structure. The functional is GGA-PBE.

Properties
Energy relative to the elements, uncorrected, meV per atom: -227
Total magnetization, μB/f.u.: 0.0

Cell lengths 2.873, 2.873, 7.667 Å; angles 90.00, 90.00, 90.00 degrees
Sites, in units of the cell vectors:
Nb 0.500 0.500 0.500
Hf 0.000 0.000 0.818
Hf 0.000 0.000 0.182
N 0.500 0.500 0.000



3.
This record from the Alexandria database describes a geometry-optimized KLi2NbAg structure. The functional is GGA-PBE.

Properties
Final energy, eV per atom: -2.64
Total magnetization, μB/f.u.: 4.2

Cell lengths 5.464, 5.436, 5.464 Å; angles 90.00, 90.00, 90.00 degrees
Sites, in units of the cell vectors:
Nb 0.000 0.000 0.000
K 0.500 0.500 0.500
Ag 0.000 0.500 0.000
Li 0.000 0.000 0.500
Li 0.500 0.000 0.000



4.
This record from the Alexandria database describes a geometry-optimized P3W structure. The functional is GGA-PBE.

Properties
Final energy, eV per atom: -7.02
Total magnetization, μB/f.u.: 0.0

Cell lengths 4.810, 3.523, 3.526 Å; angles 87.29, 90.00, 90.00 degrees
Sites, in units of the cell vectors:
P 0.000 0.033 0.034
P 0.500 0.750 0.750
P 0.000 0.467 0.466
W 0.500 0.250 0.250



5.
This record from the Alexandria database describes a geometry-optimized SrInRh3 structure. The functional is GGA-PBE.

Properties
Final energy, eV per atom: -4.78
Total magnetization, μB/f.u.: 1.3

Cell lengths 4.962, 4.962, 4.962 Å; angles 90.00, 90.00, 90.00 degrees
Sites, in units of the cell vectors:
Sr 0.500 0.500 0.500
Rh 0.000 0.500 0.000
Rh 0.000 0.000 0.500
Rh 0.500 0.000 0.000
In 0.000 0.000 0.000



6.
This record from the Alexandria database describes a geometry-optimized Zn2TeW structure. The functional is GGA-PBE.

Properties
Energy relative to the elements, uncorrected, meV per atom: 467
Total magnetization, μB/f.u.: 0.0

Cell lengths 4.374, 2.884, 6.251 Å; angles 78.72, 90.00, 90.00 degrees
Sites, in units of the cell vectors:
Te 0.000 0.844 0.517
W 0.500 0.627 0.825
Zn 0.000 0.070 0.960
Zn 0.500 0.960 0.198



Please write out number 3 again, unchanged.
This record from the Alexandria database describes a geometry-optimized KLi2NbAg structure. The functional is GGA-PBE.

Properties
Final energy, eV per atom: -2.64
Total magnetization, μB/f.u.: 4.2

Cell lengths 5.464, 5.436, 5.464 Å; angles 90.00, 90.00, 90.00 degrees
Sites, in units of the cell vectors:
Nb 0.000 0.000 0.000
K 0.500 0.500 0.500
Ag 0.000 0.500 0.000
Li 0.000 0.000 0.500
Li 0.500 0.000 0.000


[1]
Entry from the Alexandria database: KLi2Ir after structural relaxation (GGA-PBEsol).

Properties
- energy of formation from the pure elements (meV per atom) = 401
- polymorph energy (0 for the lowest one) (eV/f.u.) = 0.00

Cell lengths 3.1675, 3.1675, 8.2362 Å; angles 90.00, 90.00, 90.00 degrees
Last column: nearest neighbours and their distance in Å.
Fractional coordinates of all 4 atoms:
K: 0.0000 0.0000 0.0000  4 K 3.17, 4 Ir 3.21, 1 Li 3.30
Li: 0.0000 0.0000 0.5988  4 Ir 2.46, 4 Li 2.70
Li: 0.5000 0.5000 0.4156  1 Ir 2.51, 4 Li 2.70
Ir: 0.5000 0.5000 0.7209  5 Li 2.46-2.51


[2]
Entry from the Alexandria database: RbAg2MoSe after structural relaxation (GGA-PBEsol).

Properties
- formation energy from raw total energies (eV/atom) = 1.186

Cell lengths 5.0202, 5.0202, 6.1359 Å; angles 90.00, 90.00, 90.00 degrees
Last column: nearest neighbours and their distance in Å.
Fractional coordinates of all 5 atoms:
Rb: 0.0000 0.0000 0.0000  2 Se 3.07
Ag: 0.0000 0.5000 0.5000  2 Se 2.51
~~~

Search the listing further up for the word "energy" and print each line that has it.

Final energy, eV per atom: -5.66
Final energy, eV per atom: -2.64
Final energy, eV per atom: -7.02
Final energy, eV per atom: -4.78
Final energy, eV per atom: -2.64
- energy of formation from the pure elements (meV per atom) = 401
- polymorph energy (0 for the lowest one) (eV/f.u.) = 0.00
- formation energy from raw total energies (eV/atom) = 1.186